== Request ==
Your job: count the lines further below that contain the word "Bragg" and give the number alone.
== Given ==
/*
1.
Structure and calculated powder X-ray diffraction pattern of Mn2BiPO6 (a GGA+U-relaxed structure; Cu Kα X-rays).

Cell: 12.3274 5.4410 8.2216 Å, 90.00 90.00 90.00°
Atoms (fractional coordinates):
Mn: 0.0987 0.2500 0.2065
Mn: 0.1033 0.2500 0.8089
Mn: 0.3967 0.7500 0.3089
Mn: 0.4013 0.7500 0.7065
Mn: 0.5987 0.2500 0.2935
Mn: 0.6033 0.2500 0.6911
Mn: 0.8967 0.7500 0.1911
Mn: 0.9013 0.7500 0.7935
Bi: 0.0931 0.7500 0.4868
Bi: 0.4069 0.2500 0.9868
Bi: 0.5931 0.7500 0.0132
Bi: 0.9069 0.2500 0.5132
P: 0.1978 0.7500 0.0292
P: 0.3022 0.2500 0.5292
P: 0.6978 0.7500 0.4708
P: 0.8022 0.2500 0.9708
O: 0.0064 0.0016 0.6665
O: 0.0064 0.4984 0.6665
O: 0.1270 0.5128 0.0075
O: 0.1270 0.9872 0.0075
O: 0.2085 0.2500 0.4053
O: 0.2407 0.7500 0.2068
O: 0.2593 0.2500 0.7068
O: 0.2915 0.7500 0.9053
O: 0.3730 0.0128 0.5075
O: 0.3730 0.4872 0.5075
O: 0.4936 0.5016 0.1665
O: 0.4936 0.9984 0.1665
O: 0.5064 0.0016 0.8335
O: 0.5064 0.4984 0.8335
O: 0.6270 0.5128 0.4925
O: 0.6270 0.9872 0.4925
O: 0.7085 0.2500 0.0947
O: 0.7407 0.7500 0.2932
O: 0.7593 0.2500 0.7932
O: 0.7915 0.7500 0.5947
O: 0.8730 0.0128 0.9925
O: 0.8730 0.4872 0.9925
O: 0.9936 0.5016 0.3335
O: 0.9936 0.9984 0.3335

The 12 most intense peaks (2θ from 15° to 90°), sorted by position:
| two_theta | I_rel |
| --- | --- |
| 20.86 | 20.8 |
| 21.62 | 16.1 |
| 29.32 | 96.5 |
| 30.88 | 100.0 |
| 32.92 | 25.4 |
| 33.49 | 16.8 |
| 35.51 | 17.0 |
| 40.15 | 18.9 |
| 47.68 | 28.6 |
| 49.74 | 16.3 |
| 56.06 | 27.5 |
| 56.59 | 16.0 |

---

2.
Structure and calculated powder X-ray diffraction pattern of Sr2MnBiPbO6 (a GGA+U-relaxed structure; Cu Kα X-rays).

Cell: 7.7284 7.7284 12.5119 Å, 99.07 99.07 89.01°
Atoms (fractional coordinates):
Sr: 0.0382 0.5358 0.1528
Sr: 0.0399 0.0399 0.1523
Sr: 0.4612 0.4594 0.8478
Sr: 0.4642 0.9618 0.8472
Sr: 0.5389 0.0364 0.1527
Sr: 0.5406 0.5388 0.1522
Sr: 0.9601 0.9601 0.8477
Sr: 0.9636 0.4611 0.8473
Mn: 0.2507 0.2494 0.0000
Mn: 0.2507 0.7493 0.0000
Mn: 0.7507 0.2493 0.0000
Mn: 0.7506 0.7493 0.0000
Bi: 0.1537 0.6852 0.6304
Bi: 0.3148 0.8463 0.3696
Bi: 0.6536 0.1850 0.6302
Bi: 0.8150 0.3464 0.3698
Pb: 0.1432 0.1628 0.6298
Pb: 0.3371 0.3572 0.3704
Pb: 0.6428 0.6629 0.6296
Pb: 0.8372 0.8568 0.3702
O: 0.0030 0.7510 0.0051
O: 0.0862 0.0060 0.3555
O: 0.1684 0.6127 0.3606
O: 0.1929 0.6829 0.8028
O: 0.2172 0.2147 0.8120
O: 0.2490 0.9970 0.9949
O: 0.2512 0.5020 0.0055
O: 0.2854 0.2846 0.1885
O: 0.3171 0.8071 0.1972
O: 0.3873 0.8316 0.6394
O: 0.4941 0.4136 0.6444
O: 0.4980 0.7488 0.9945
O: 0.5030 0.2511 0.0055
O: 0.5864 0.5059 0.3556
O: 0.6686 0.1126 0.3604
O: 0.6929 0.1827 0.8027
O: 0.7154 0.7146 0.8115
O: 0.7489 0.4970 0.9945
O: 0.7512 0.0018 0.0059
O: 0.7853 0.7828 0.1880
O: 0.8173 0.3071 0.1973
O: 0.8874 0.3314 0.6396
O: 0.9940 0.9138 0.6445
O: 0.9982 0.2488 0.9941

The 12 most intense peaks (2θ from 15° to 90°), sorted by position:
| two_theta | I_rel |
| --- | --- |
| 25.52 | 65.1 |
| 29.28 | 23.8 |
| 29.49 | 100.0 |
| 32.49 | 33.1 |
| 33.07 | 32.2 |
| 44.29 | 18.2 |
| 44.74 | 18.1 |
| 47.04 | 26.8 |
| 47.24 | 15.5 |
| 54.33 | 15.3 |
| 56.12 | 18.6 |
| 56.88 | 16.8 |

~~~~~

(1)
Diffraction record for HfNiO3. The PXRD pattern is simulated, not measured: it uses the GGA+U geometry in Alexandria and λ = 1.5418 Å (Cu Kα).
Peak positions follow from Bragg's law for the DFT cell and can differ from measured ones.

Peak list (12 most intense, 2θ from 5° to 70°, most intense first)
2θ = 31.74°, rel. 100, (1 0 4); 2θ = 34.12°, rel. 92, (1 1 0); 2θ = 23.14°, rel. 88, (0 1 2); 2θ = 51.65°, rel. 56, (1 1 6); 2θ = 47.29°, rel. 38, (0 2 4); 2θ = 59.59°, rel. 36, (2 1 4); 2θ = 61.08°, rel. 27, (3 0 0); 2θ = 54.92°, rel. 27, (0 1 8); 2θ = 41.63°, rel. 16, (2 0 2); 2θ = 68.50°, rel. 15, (1 0 10); 2θ = 37.57°, rel. 12, (0 0 6); 2θ = 66.31°, rel. 6, (2 0 8)

Atomic structure:
```
data_HfNiO3
_cell_length_a 5.2556
_cell_length_b 5.2556
_cell_length_c 14.3645
_cell_angle_alpha 90.00
_cell_angle_beta 90.00
_cell_angle_gamma 120.00
_symmetry_space_group_name_H-M 'R 3 c'
*/
== Written answer ==
1